Monday, April 27th 2009

Windows 7 to Pack Virtual Windows XP
Across generations of its Windows operating systems based on the NT architecture, Microsoft has been courteous enough to pack application compatibility layers that let users run applications in compatibility modes for older versions of the OS. The company seems to be taking this to the next level with Windows 7. The release candidate of the OS slated for April 30, will pack an "XP mode" virtualization feature. The feature quite literally runs a Windows XP environment inside a sandbox complete with support for applications such as Internet Explorer 6, etc.
The environment will work on a virtual machine created by Windows 7. Native Windows XP applications you install in the environment, along with your documents and settings will further be accessible from the host OS. Client variants of Windows 7 may feature a Hyper-V hypervisor that handles applications such as these. The feature makes Windows 7 especially something to look forward to, for those complaining lack of Windows XP features. In short, it's the OS some probably clung onto, and refused to move to Vista, running as an application.
CrunchGear, betanews
### The entry is interrupted by crystal structures
- - -
Entry 1:
DFT (PBE-GGA) results for a relaxed Mg16Si8HO32 crystal.

Uncorrected energy   -6.765 eV per atom
Magnetization   0.0 μB/f.u.
Volume   611.3 Å³/f.u.
Energy relative to the lowest polymorph listed for this composition   0.013 eV/atom

Lattice parameters (Å, degrees): 6.1030 9.6357 10.3973 90.16 90.65 90.73
Sites, in units of the cell vectors:
Mg1 0.0061 0.9984 0.9986
Mg2 0.0018 0.2479 0.5023
Mg3 0.5029 0.9943 0.9897
Mg4 0.5026 0.2435 0.5138
Mg5 0.2262 0.5081 0.2745
Mg6 0.7895 0.2363 0.2137
Mg7 0.7523 0.0014 0.7219
Mg8 0.2500 0.2547 0.7802
Mg9 0.9986 0.5025 0.9968
Mg10 0.9968 0.7496 0.5006
Mg11 0.4991 0.5011 0.9994
Mg12 0.4967 0.7499 0.4997
Mg13 0.2500 0.9950 0.2818
Mg14 0.7470 0.7481 0.2202
Mg15 0.7476 0.5042 0.7218
Mg16 0.2502 0.7525 0.7764
Si1 0.2548 0.2188 0.0964
Si2 0.7442 0.4614 0.4030
Si3 0.7508 0.2859 0.9051
Si4 0.2477 0.0341 0.5975
Si5 0.2519 0.7168 0.0930
Si6 0.7505 0.9640 0.4053
Si7 0.7529 0.7848 0.9038
Si8 0.2466 0.5350 0.5944
H1 0.4787 0.2986 0.2792
O1 0.2407 0.3883 0.0924
O2 0.7533 0.1345 0.4072
O3 0.7543 0.1159 0.9090
O4 0.2483 0.3651 0.5937
O5 0.2515 0.1092 0.4517
O6 0.7502 0.3595 0.0521
O7 0.7466 0.3885 0.5477
O8 0.2690 0.1412 0.9534
O9 0.0454 0.1322 0.1602
O10 0.9497 0.3873 0.3289
O11 0.5365 0.3611 0.8354
O12 0.4654 0.1083 0.6684
O13 0.9681 0.3601 0.8376
O14 0.0342 0.1097 0.6648
O15 0.4642 0.1701 0.1886
O16 0.5038 0.3855 0.3400
O17 0.2588 0.8869 0.0921
O18 0.7404 0.6300 0.4037
O19 0.7500 0.6151 0.9059
O20 0.2480 0.8645 0.5930
O21 0.2427 0.6084 0.4476
O22 0.7509 0.8597 0.0499
O23 0.7488 0.8892 0.5511
O24 0.2509 0.6420 0.9472
O25 0.0325 0.6441 0.1610
O26 0.9648 0.8886 0.3377
O27 0.5378 0.8585 0.8333
O28 0.4656 0.6102 0.6615
O29 0.9690 0.8604 0.8366
O30 0.0323 0.6093 0.6625
O31 0.4629 0.6393 0.1640
O32 0.5332 0.8899 0.3350

Entry 2:
DFT (PBE-GGA) results for a relaxed K6U5As2O23 crystal.

Uncorrected energy   -7.738 eV per atom
Magnetization   0.0 μB/f.u.
Volume   630.2 Å³/f.u.

Lattice parameters (Å, degrees): 24.8836 7.1066 7.2073 81.45 90.00 90.00
Sites, in units of the cell vectors:
K1 0.3850 0.3676 0.7683
K2 0.8850 0.6324 0.7317
K3 0.6150 0.6324 0.2317
K4 0.1150 0.3676 0.2683
K5 0.5405 0.5459 0.7345
K6 0.0405 0.4541 0.7655
K7 0.4595 0.4541 0.2655
K8 0.9595 0.5459 0.2345
K9 0.2861 0.2436 0.3040
K10 0.7861 0.7564 0.1960
K11 0.7139 0.7564 0.6960
K12 0.2139 0.2436 0.8040
U1 0.4190 0.9060 0.5158
U2 0.9190 0.0940 0.9842
U3 0.5810 0.0940 0.4842
U4 0.0810 0.9060 0.0158
U5 0.3565 0.8471 0.0295
U6 0.8565 0.1529 0.4705
U7 0.6435 0.1529 0.9705
U8 0.1435 0.8471 0.5295
U9 0.5000 0.0000 0.0000
U10 0.0000 0.0000 0.5000
As1 0.2954 0.7141 0.5466
As2 0.7954 0.2859 0.9534
As3 0.7046 0.2859 0.4534
As4 0.2046 0.7141 0.0466
O1 0.2890 0.4755 0.5804
O2 0.7890 0.5245 0.9196
O3 0.7110 0.5245 0.4196
O4 0.2110 0.4755 0.0804
O5 0.2367 0.8390 0.5288
O6 0.7367 0.1610 0.9712
O7 0.7633 0.1610 0.4712
O8 0.2633 0.8390 0.0288
O9 0.3359 0.8058 0.3558
O10 0.8359 0.1942 0.1442
O11 0.6641 0.1942 0.6442
O12 0.1641 0.8058 0.8558
O13 0.3373 0.7981 0.7107
- - -
The environment will work on a virtual machine created by Windows 7. Native Windows XP applications you install in the environment, along with your documents and settings will further be accessible from the host OS. Client variants of Windows 7 may feature a Hyper-V hypervisor that handles applications such as these. The feature makes Windows 7 especially something to look forward to, for those complaining lack of Windows XP features. In short, it's the OS some probably clung onto, and refused to move to Vista, running as an application.
75 Comments on Windows 7 to Pack Virtual Windows XP
edit: it said it couldn't find anything to boot with lol i'm dumb. i went into bios and tried setting boot priority but if it can't find anything that won't help will it?
there buttons at the bottom of the window, right click the CD one and you can bind the VM to a drive on the host OS.
ya I'm an idiot dude. I thought this would be like the windows mobile emulator in visual studio where everything is loaded already for you. I dont exactly have an xp disc laying around here at work lol.
I'll just have to play with it when I get home.
Thats a fake machine with an empty HDD. Think of it as a brand new PC... it aint gunna do nothing til you stick that XP disk in there and install it.
lol you did edits while i was posting... 20MB is a tad small to include XP ;)
"small amount of customers...."
but is sucks when you have to download it:(
I thought it would be 700+
edit: the one we're running NOW doesnt include the OS. the one with 7, may. but that'd be weird.
There are a few of things that I still question though:
1.) How does licensing work? I know that Win7 Ultimate includes a licence for XP Pro, so that wouldn't be an issue, but what about the other versions of Win7. Or is this just going to be a feature of Ultimate?
2.) Is this actually a new version of Virtual PC, or is it just Virtual PC 2007 re-packaged and included in with Win7? I hope it is a new version, and I hope they have improved it, and added USB support and better hardware integration.
3.) Will this version of Virtual PC be limitted to just running XP, or will you still be able to configure as many Virtual PCs as you want to install any OS you like?(I have Win3.11, Win98 SE, and XP running right now.)
4.) How long until we see anti-trust lawsuits?
We will NEVER go to Vista and we will take a long time to go to Win 7. M$ wants businesses to go to Win 7, thats why they are adding a Virtual XP. Makes sense to me.
Microsoft Acquires Connectix Virtual Machine Technology
Though installing 98 should give you a fair bit of compatibility with older games.
not got any ideas what to tell you if your system wont wun nwn on SHOULD WORK, so should diabloII as i know a few people who still play it even after upgrading to newer systems that came with vista....
as to emulated directX support, it depends on if MS bothers to do a decent d3d passthru or their typical "it kinda works" method.
VMware6.5+ can play older 3d titles just fine via 98se or windows 2000 from my testing......